Elections as a Wake Up Call: Politicians Must Put People First
The record low election turnout in Vermont’s 2014 general election should be a huge wake up call to Gov. Peter Shumlin and other Vermont political leaders. The fact that the majority of people stayed home is a referendum against the status quo. It shows that people have lost faith in the political process and its relevance to their lives. Over 60,000 Democratic voters who voted in 2010 did not participate in 2014. In 2010, anyone affected by the health care crisis had an extremely compelling reason to come out to vote. Politicians had laid out a vision for universal health care and promised to follow through with it. Yet by 2014, the change many people hoped for had not materialized. Very little had been done to make universal health care a reality, and the lives of working families had not improved. Earlier this year, the best minimum wage increase bill politicians could come up with was offered by a Republican, not by the legislative leadership in the statehouse or the governor.
Next to the page, the page also holds records of crystals >
********
No. 1
## V2ClF (GGA+U)

Data for a relaxed V2ClF crystal.

Unit cell a=6.3603 b=6.3603 c=6.3603 alpha=90.00 beta=90.00 gamma=90.00
With the nearest neighbours (Å) after each atom.
Space group Fm-3m (No. 225)
Asymmetric unit:
1 V 0.2500 0.2500 0.2500 (multiplicity 8)  4 F 2.75, 4 Cl 2.75
2 Cl 0.0000 0.0000 0.0000 (multiplicity 4)  8 V 2.75
3 F 0.0000 0.0000 0.5000 (multiplicity 4)  8 V 2.75

energy above the most stable polymorph in this dataset = 0.427 eV/atom
calculated density = 4.036 g/cm3



No. 2
## BaCr2PtO (GGA+U)

Data for a relaxed BaCr2PtO crystal.

Unit cell a=4.8981 b=4.8981 c=6.3183 alpha=90.00 beta=90.00 gamma=90.00
With the nearest neighbours (Å) after each atom.
Space group P4/mmm (No. 123)
Asymmetric unit:
1 Ba 0.0000 0.0000 0.0000 (multiplicity 1)  2 Pt 3.16, 4 O 3.46
2 Cr 0.0000 0.5000 0.5000 (multiplicity 2)  2 Pt 2.45
3 Pt 0.0000 0.0000 0.5000 (multiplicity 1)  4 Cr 2.45
4 O 0.5000 0.5000 0.0000 (multiplicity 1)  4 Ba 3.46

calculated density = 4.956 g/cm3



| no. | uncorrected energy (eV for the cell shown) |
| --- | --- |
| 1 | -74.50 |
| 2 | -26.50 |

=====

PrYSnAu, optimized geometry, DFT PBE; ΔH_f (0 K) = -717 meV per atom
1.0
5.330 0.000 0.000
2.665 4.616 0.000
2.665 1.539 4.352
Pr Y Au Sn
1 1 1 1
Direct
0.250 0.250 0.250
0.750 0.750 0.750
0.500 0.500 0.500
0.000 0.000 0.000
********
In a state where Bernie Sanders has been getting elected with overwhelming majorities for years, it seems obvious that working people want to see leaders who challenge the status quo and actively fight for people’s rights, dignity and equality. But once again we see that sitting back and hoping politicians will do the right thing does not work. It is clear that unless thousands of us speak up and demand action, we will get another two years of lip service, excuses and more of the status quo. It is necessary for the people to come together and expand what is politically possible, rather than wait for politicians. If Green Mountain Care is going to be the kind of universal health care system our communities want and need, then we the people have to take action to make it happen.
This is not going to be easy. The scary price tag touted by opponents, the debacle of the Vermont Health Connect website, and the stigma attached to new taxes has led to a sense of wariness and disillusionment. It has not been easy for people to expect that much can be done about high premiums, rising deductibles, and continued lack of access to needed care. In fact, hundreds of us working on the Healthcare Is a Human Right campaign have been going door-to-door since this summer, hearing stories of exorbitant premiums and deductibles, of forgone doctor visits to put food on the table, of untreated abscessed teeth and medication skipped due to unaffordable co-pays. There is no question — Vermont can do better than this.
It is time to raise our expectations and hold politicians’ feet to the fire. Business as usual is no longer an option.
We expect Governor Shumlin and our legislators to try harder and show that they can do better, too. Vermont is at a crossroads, and politicians have a clear choice. They can muddle through with half-hearted reform measures that don’t do anything to improve people’s lives. Or they can lead the way toward a health care system that puts our health care dollars toward providing care for all people as a public good, rather than private profits for a few. This is what Act 48, the health care law passed by the legislature and signed by the Governor, requires. And they can adopt a budget that meets people’s needs through making taxes more equitable and ensuring the health of critical programs and services, thereby avoiding scarcity narratives which pit health care against education.
Now is the time for Governor Shumlin and leaders of the Vermont Legislature to show courage and lead the way. Only by adopting policies that put people first and address the everyday struggles our families face can politicians regain our trust. They must stand up for a health care system that truly works for the people, that is designed and planned with the people, and that makes it easier for low and middle income families to meet their needs. They must support livable wages, fund public services in our communities and protect our right to a healthy environment. This election serves as their wake up call. But for any politician tempted to hit the snooze button, we will get their attention by organizing on an unprecedented scale to bring forward a broad people’s movement that holds elected officials accountable to putting people and the planet first.
Calculated crystals from another source follow:
<<<
Below is BaCaTe4 after structural relaxation, with properties calculated at the PBE-GGA level.

Output
space group	No. 125
offset from the most stable computed form	0	meV per atom
final energy	-3.861	eV per atom
E_form (uncorrected)	-25.66	kcal/mol of atoms

Structure (POSCAR):
```
BaCaTe4
1.0
7.034 0.000 0.000
0.000 7.034 0.000
0.000 0.000 8.635
Ba Ca Te
2 2 8
direct
0.250 0.250 0.000
0.750 0.750 0.000
0.250 0.250 0.500
0.750 0.750 0.500
0.108 0.608 0.274
0.108 0.892 0.726
0.392 0.608 0.726
0.392 0.892 0.274
0.608 0.108 0.726
0.608 0.392 0.274
0.892 0.108 0.274
0.892 0.392 0.726
```
>>>
James Haslam is executive director of the Vermont Workers’ Center, which coordinates the Healthcare Is A Human Right Campaign and is a grassroots organization advancing workers’ rights and human rights in communities across the state. More information at workerscenter.org.